_File_
-- begin --
Record 1
C30H81BrN4O12 | the ωB97M-V functional and the def2-TZVPD basis

## Properties
* ΔE to the lowest compared entry with this formula, charge and spin: 807.2 kJ/mol
* calculated total energy: -4886.9365 Eh
* Kohn-Sham gap: 0.32408 Eh
* total charge: 0
* largest force on an atom: 4.4 eV/A
* LUMO: -0.83 eV

Bonds (Å) are listed after each position.
CARTESIAN COORDINATES (ANGSTROEM)
1 C -1.526 -1.708 2.732  C2 1.651, H24 1.180, H25 1.190, H26 1.177
2 C -2.120 -0.616 1.644  C1 1.651, C3 1.666, H27 1.183, H28 1.175
3 C -0.979 0.594 1.542  C2 1.666, C4 1.644, H29 1.191, H30 1.191
4 C -0.036 0.473 0.200  C3 1.644, C5 1.646, H31 1.184, H32 1.175
5 C -0.131 1.779 -0.797  C4 1.646, C6 1.666, H33 1.172, H34 1.190
6 C -0.387 1.280 -2.366  C5 1.666, C7 1.660, H35 1.185, H36 1.183
7 C 0.904 0.392 -2.914  C6 1.660, C8 1.640, H37 1.193, H38 1.172
8 C 0.490 -1.179 -3.131  C7 1.640, C9 1.640, H39 1.192, H40 1.183
9 C 1.659 -2.094 -3.828  C8 1.640, C10 1.673, H41 1.194, H42 1.170
10 C 3.062 -2.179 -2.921  C9 1.673, C11 1.619, H43 1.194, H44 1.166
11 C 3.663 -3.678 -3.031  C10 1.619, C12 1.614, H45 1.194, H46 1.194
12 C 3.863 -4.538 -1.680  C11 1.614, C13 1.623, H47 1.193, H48 1.185
13 C 3.148 -4.020 -0.318  C12 1.623, C14 1.678, H49 1.194, H50 1.195
14 C 1.497 -4.313 -0.257  C13 1.678, N15 1.432, N23 1.431
15 N 1.006 -4.595 1.059  C14 1.432, N16 1.306
16 N -0.286 -4.776 1.117  N15 1.306, C17 1.432
17 C -0.946 -4.656 -0.148  N16 1.432, C18 1.678, N22 1.431
18 C -2.613 -4.831 -0.060  C17 1.678, C19 1.638, H51 1.190, H52 1.192
19 C -3.320 -5.034 -1.523  C18 1.638, C20 1.662, H53 1.194, H54 1.170
20 C -3.978 -3.599 -2.042  C19 1.662, Br21 2.038, H55 1.174, H56 1.173
21 Br -5.790 -3.427 -1.126  C20 2.038
22 N -0.452 -4.416 -1.470  C17 1.431, N23 1.307
23 N 0.841 -4.235 -1.527  C14 1.431, N22 1.307
24 H -0.583 -2.211 2.231  C1 1.180
25 H -2.323 -2.566 2.945  C1 1.190
26 H -1.167 -1.212 3.737  C1 1.177
27 H -3.179 -0.209 1.977  C2 1.183
28 H -2.244 -1.122 0.591  C2 1.175
29 H -0.313 0.650 2.528  C3 1.191
30 H -1.575 1.625 1.520  C3 1.191
31 H 1.078 0.236 0.522  C4 1.184
32 H -0.424 -0.453 -0.412  C4 1.175
33 H -0.990 2.477 -0.412  C5 1.172
34 H 0.930 2.314 -0.741  C5 1.190
35 H -0.511 2.223 -3.073  C6 1.185
36 H -1.407 0.684 -2.438  C6 1.183
37 H 1.176 0.844 -3.985  C7 1.193
38 H 1.813 0.471 -2.179  C7 1.172
39 H -0.446 -1.182 -3.871  C8 1.192
40 H 0.129 -1.702 -2.133  C8 1.183
41 H 1.937 -1.587 -4.872  C9 1.194
42 H 1.222 -3.147 -4.093  C9 1.170
43 H 3.816 -1.452 -3.494  C10 1.194
44 H 2.938 -1.725 -1.854  C10 1.166
45 H 3.017 -4.341 -3.785  C11 1.194
46 H 4.731 -3.596 -3.561  C11 1.194
47 H 5.034 -4.621 -1.467  C12 1.193
48 H 3.510 -5.652 -1.876  C12 1.185
49 H 3.345 -2.874 -0.050  C13 1.194
50 H 3.656 -4.619 0.582  C13 1.195
51 H -2.893 -5.703 0.701  C18 1.190
52 H -3.005 -3.793 0.376  C18 1.192
53 H -4.258 -5.750 -1.341  C19 1.194
54 H -2.664 -5.570 -2.329  C19 1.170
55 H -4.203 -3.614 -3.194  C20 1.174
56 H -3.361 -2.665 -1.693  C20 1.173
57 C -0.920 -5.592 5.056  O58 1.416, H59 1.093, H60 1.093, H61 1.093
58 O -1.682 -6.107 3.980  C57 1.416, H62 0.972
59 H -1.126 -6.183 5.952  C57 1.093
60 H 0.144 -5.658 4.815  C57 1.093
61 H -1.200 -4.551 5.237  C57 1.093
62 H -1.479 -5.563 3.200  O58 0.972
63 C 2.631 3.913 -4.133  O64 1.416, H65 1.093, H66 1.093, H67 1.093
64 O 2.665 2.775 -4.975  C63 1.416, H68 0.972
65 H 2.651 3.584 -3.091  C63 1.093
66 H 3.503 4.541 -4.331  C63 1.093
67 H 1.713 4.477 -4.317  C63 1.093
68 H 2.646 3.098 -5.892  O64 0.972
69 C 0.715 -2.229 7.061  O70 1.416, H71 1.093, H72 1.093, H73 1.093
70 O -0.449 -2.266 6.256  C69 1.416, H74 0.972
71 H 1.595 -2.298 6.417  C69 1.093
72 H 0.746 -1.289 7.617  C69 1.093
73 H 0.707 -3.075 7.754  C69 1.093
74 H -1.212 -2.203 6.855  O70 0.972
75 C 2.647 -5.650 -6.689  O76 1.416, H77 1.093, H78 1.093, H79 1.093
76 O 1.772 -4.539 -6.763  C75 1.416, H80 0.972
77 H 3.673 -5.305 -6.835  C75 1.093
78 H 2.559 -6.119 -5.707  C75 1.093
79 H 2.391 -6.368 -7.472  C75 1.093
-- stop --

_Request_
Next, write out everything earlier on without altering anything.

_Solution_
Record 1
C30H81BrN4O12 | the ωB97M-V functional and the def2-TZVPD basis

## Properties
* ΔE to the lowest compared entry with this formula, charge and spin: 807.2 kJ/mol
* calculated total energy: -4886.9365 Eh
* Kohn-Sham gap: 0.32408 Eh
* total charge: 0
* largest force on an atom: 4.4 eV/A
* LUMO: -0.83 eV

Bonds (Å) are listed after each position.
CARTESIAN COORDINATES (ANGSTROEM)
1 C -1.526 -1.708 2.732  C2 1.651, H24 1.180, H25 1.190, H26 1.177
2 C -2.120 -0.616 1.644  C1 1.651, C3 1.666, H27 1.183, H28 1.175
3 C -0.979 0.594 1.542  C2 1.666, C4 1.644, H29 1.191, H30 1.191
4 C -0.036 0.473 0.200  C3 1.644, C5 1.646, H31 1.184, H32 1.175
5 C -0.131 1.779 -0.797  C4 1.646, C6 1.666, H33 1.172, H34 1.190
6 C -0.387 1.280 -2.366  C5 1.666, C7 1.660, H35 1.185, H36 1.183
7 C 0.904 0.392 -2.914  C6 1.660, C8 1.640, H37 1.193, H38 1.172
8 C 0.490 -1.179 -3.131  C7 1.640, C9 1.640, H39 1.192, H40 1.183
9 C 1.659 -2.094 -3.828  C8 1.640, C10 1.673, H41 1.194, H42 1.170
10 C 3.062 -2.179 -2.921  C9 1.673, C11 1.619, H43 1.194, H44 1.166
11 C 3.663 -3.678 -3.031  C10 1.619, C12 1.614, H45 1.194, H46 1.194
12 C 3.863 -4.538 -1.680  C11 1.614, C13 1.623, H47 1.193, H48 1.185
13 C 3.148 -4.020 -0.318  C12 1.623, C14 1.678, H49 1.194, H50 1.195
14 C 1.497 -4.313 -0.257  C13 1.678, N15 1.432, N23 1.431
15 N 1.006 -4.595 1.059  C14 1.432, N16 1.306
16 N -0.286 -4.776 1.117  N15 1.306, C17 1.432
17 C -0.946 -4.656 -0.148  N16 1.432, C18 1.678, N22 1.431
18 C -2.613 -4.831 -0.060  C17 1.678, C19 1.638, H51 1.190, H52 1.192
19 C -3.320 -5.034 -1.523  C18 1.638, C20 1.662, H53 1.194, H54 1.170
20 C -3.978 -3.599 -2.042  C19 1.662, Br21 2.038, H55 1.174, H56 1.173
21 Br -5.790 -3.427 -1.126  C20 2.038
22 N -0.452 -4.416 -1.470  C17 1.431, N23 1.307
23 N 0.841 -4.235 -1.527  C14 1.431, N22 1.307
24 H -0.583 -2.211 2.231  C1 1.180
25 H -2.323 -2.566 2.945  C1 1.190
26 H -1.167 -1.212 3.737  C1 1.177
27 H -3.179 -0.209 1.977  C2 1.183
28 H -2.244 -1.122 0.591  C2 1.175
29 H -0.313 0.650 2.528  C3 1.191
30 H -1.575 1.625 1.520  C3 1.191
31 H 1.078 0.236 0.522  C4 1.184
32 H -0.424 -0.453 -0.412  C4 1.175
33 H -0.990 2.477 -0.412  C5 1.172
34 H 0.930 2.314 -0.741  C5 1.190
35 H -0.511 2.223 -3.073  C6 1.185
36 H -1.407 0.684 -2.438  C6 1.183
37 H 1.176 0.844 -3.985  C7 1.193
38 H 1.813 0.471 -2.179  C7 1.172
39 H -0.446 -1.182 -3.871  C8 1.192
40 H 0.129 -1.702 -2.133  C8 1.183
41 H 1.937 -1.587 -4.872  C9 1.194
42 H 1.222 -3.147 -4.093  C9 1.170
43 H 3.816 -1.452 -3.494  C10 1.194
44 H 2.938 -1.725 -1.854  C10 1.166
45 H 3.017 -4.341 -3.785  C11 1.194
46 H 4.731 -3.596 -3.561  C11 1.194
47 H 5.034 -4.621 -1.467  C12 1.193
48 H 3.510 -5.652 -1.876  C12 1.185
49 H 3.345 -2.874 -0.050  C13 1.194
50 H 3.656 -4.619 0.582  C13 1.195
51 H -2.893 -5.703 0.701  C18 1.190
52 H -3.005 -3.793 0.376  C18 1.192
53 H -4.258 -5.750 -1.341  C19 1.194
54 H -2.664 -5.570 -2.329  C19 1.170
55 H -4.203 -3.614 -3.194  C20 1.174
56 H -3.361 -2.665 -1.693  C20 1.173
57 C -0.920 -5.592 5.056  O58 1.416, H59 1.093, H60 1.093, H61 1.093
58 O -1.682 -6.107 3.980  C57 1.416, H62 0.972
59 H -1.126 -6.183 5.952  C57 1.093
60 H 0.144 -5.658 4.815  C57 1.093
61 H -1.200 -4.551 5.237  C57 1.093
62 H -1.479 -5.563 3.200  O58 0.972
63 C 2.631 3.913 -4.133  O64 1.416, H65 1.093, H66 1.093, H67 1.093
64 O 2.665 2.775 -4.975  C63 1.416, H68 0.972
65 H 2.651 3.584 -3.091  C63 1.093
66 H 3.503 4.541 -4.331  C63 1.093
67 H 1.713 4.477 -4.317  C63 1.093
68 H 2.646 3.098 -5.892  O64 0.972
69 C 0.715 -2.229 7.061  O70 1.416, H71 1.093, H72 1.093, H73 1.093
70 O -0.449 -2.266 6.256  C69 1.416, H74 0.972
71 H 1.595 -2.298 6.417  C69 1.093
72 H 0.746 -1.289 7.617  C69 1.093
73 H 0.707 -3.075 7.754  C69 1.093
74 H -1.212 -2.203 6.855  O70 0.972
75 C 2.647 -5.650 -6.689  O76 1.416, H77 1.093, H78 1.093, H79 1.093
76 O 1.772 -4.539 -6.763  C75 1.416, H80 0.972
77 H 3.673 -5.305 -6.835  C75 1.093
78 H 2.559 -6.119 -5.707  C75 1.093
79 H 2.391 -6.368 -7.472  C75 1.093